[HN Gopher] LibVF.IO: Add support for GPU Virtual Machine (GVM)
       LibVF.IO: Add support for GPU Virtual Machine (GVM)
       Author : ArcVRArthur
       Score  : 68 points
Someone pasted quantum chemistry results at this point
+++
# 1
22
Properties=species:S:1:pos:R:3 method="wB97M-V/def2-TZVPD" s2=0.754 total_charge=0 e_above_lowest_ev=0.444 orbital_gap_ev="9.38 / 5.40" multiplicity=2 lumo_energy_ev="0.64 / -3.34"
C -1.554 1.625 -1.080
C -0.218 1.398 -1.778
C -2.206 0.286 -0.753
O -2.389 -0.579 -1.579
O -2.416 0.235 0.508
H -1.292 2.203 -0.174
H -2.163 2.303 -1.679
H 0.593 1.180 -1.088
H 0.089 2.310 -2.299
H -0.151 0.582 -2.506
C 3.342 0.143 0.155
C 0.259 -1.443 0.676
C 2.189 -0.494 0.876
C 1.340 0.092 1.787
N 1.441 -1.444 0.128
N 0.130 -0.559 1.674
H -0.528 -2.131 0.405
H -0.640 -0.285 2.240
H 1.502 0.997 2.354
H 3.001 0.748 -0.673
H 3.964 -0.709 -0.165
H 4.028 0.655 0.844



# 2
6
Properties=species:S:1:pos:R:3 method="wB97M-V/def2-TZVPD" total_charge=0 e_above_lowest_ev=1.320 orbital_gap_ev=7.56 multiplicity=1 lumo_energy_ev=-1.30
C 0.201 -0.511 0.352
S -0.050 1.813 -0.058
I 2.168 -1.210 0.529
I -1.058 -0.880 1.948
I -0.987 1.568 -2.292
H -0.274 -0.780 -0.479



# 3
11
Properties=species:S:1:pos:R:3 method="wB97M-V/def2-TZVPD" total_charge=0 e_above_lowest_ev=3.175 orbital_gap_ev="8.86 / 8.06" multiplicity=1 lumo_energy_ev="-0.39 / -0.39"
C -1.018 0.811 -0.361
C 0.296 0.316 -0.661
Si 0.985 -0.827 0.734
P -1.749 2.192 0.134
H -2.452 -0.797 -0.576
H 0.973 1.167 -0.784
H 0.287 -0.237 -1.603
H 2.440 -0.632 0.733
H 0.647 -2.210 0.417
H 0.425 -0.410 2.017
H -3.068 1.753 0.251



# 4
81
Properties=species:S:1:pos:R:3 method="wB97M-V/def2-TZVPD" total_charge=0 orbital_gap_ev=8.08 multiplicity=1 lumo_energy_ev=-0.61
In 10.854 15.776 13.011
C 10.693 18.359 14.999
N 10.527 16.901 14.892
C 9.909 16.189 15.804
C 9.868 14.745 15.589
C 9.693 13.679 16.492
C 10.216 12.563 15.923
C 10.822 12.965 14.706
N 10.518 14.255 14.480
C 9.545 18.983 15.689
C 9.521 19.686 16.891
C 8.267 20.046 17.501
C 7.071 19.826 16.835
C 7.138 19.271 15.583
C 8.328 18.850 15.021
H 10.847 18.720 14.021
H 11.642 18.519 15.527
H 9.600 16.518 16.741
H 9.202 13.767 17.468
H 10.110 11.566 16.232
H 11.257 12.409 13.960
H 10.428 19.797 17.547
H 8.233 20.562 18.458
H 6.111 20.151 17.283
H 6.316 19.112 14.922
H 8.328 18.436 14.060
Br 13.134 15.807 17.061
C 14.175 14.459 15.963
Br 14.205 14.818 14.109
H 13.619 13.538 16.130
H 15.195 14.439 16.390
F 11.175 20.721 10.601
C 10.301 20.028 11.307
F 10.448 20.293 12.601
F 9.051 20.365 10.977
S 10.457 18.153 11.134
O 9.441 17.649 12.077
O 10.349 17.820 9.766
N 11.791 17.727 11.887
S 13.313 17.919 11.337
O 13.386 18.777 10.192
O 13.860 16.598 11.309
C 13.876 18.857 12.815
F 13.719 18.154 13.871
F 13.273 20.003 12.842
F 15.207 19.042 12.620
F 8.454 15.020 12.736
C 7.967 13.751 12.868
C 8.494 12.733 12.113
C 7.807 11.522 12.201
F 8.172 10.470 11.474
C 6.687 11.381 13.032
F 6.035 10.208 12.978
C 6.194 12.456 13.753
F 5.133 12.401 14.595
C 6.875 13.673 13.706
F 6.510 14.749 14.452
Ge 9.985 12.923 10.819
S 11.148 14.840 10.841
C 9.002 12.578 9.176
C 7.923 13.432 8.906
F 7.509 14.295 9.842
C 7.232 13.382 7.684
F 6.182 14.139 7.406
C 7.623 12.441 6.756
F 7.048 12.385 5.585
+++
       Date   : 2022-08-24 17:40 UTC (5 hours ago)
 (HTM) web link (arccompute.com)
 (TXT) w3m dump (arccompute.com)
       | stuaxo wrote:
       | Can I use this to with an AMD APU, like the graphics on a Ryzen ?
         | ArcVRArthur wrote:
         | Unfortunately there is limited support on AMD. I would like to
         | try to make it better though!
         | https://openmdev.io/index.php/GPU_Support
           | MuffinFlavored wrote:
           | What's one of the biggest things AMD could go to help you
           | turn this into a reality? Just... documentation? Source code
           | examples?
           | Which... I'm assuming they'll never do?
             | ArcVRArthur wrote:
             | If they would consider helping with the things I mention
             | here we'd do our best to support them!
             | https://news.ycombinator.com/item?id=32585950
       | ArcVRArthur wrote:
       | Hey, I'm the co-creator of LibVF.IO and the GVM project. I'd love
       | to hear what you think about our latest release where we added
       | support for GVM components in LibVF.IO.
       | Side note: We also added in support for Libvirt by allowing users
       | to install standalone GVM components via ./scripts/install-
       | standalone-gvm-components.sh.
         | gorkish wrote:
         | To be honest with you I am extremely excited by what you are
         | working towards, but utterly beyond confusion when it comes to
         | the GPU virtualization landscape. The walls that vendors have
         | built in this area in their attempt to artificially segment
         | "consumer" and "professional" are shameful. NVidia in
         | particular has been reprehensible. I wish more people cared.
         | Thank you!
           | ArcVRArthur wrote:
           | Thanks for your kind words! We're all virtualization users
           | ourselves so I definitely get what you mean - we started this
           | project because we wanted to help people to get access to the
           | magic at home using the hardware they already have! I will
           | say though that Nvidia has done a lot towards improving their
           | support for open source. While it might be a bit of an
           | uncommon take in my view many of the folks who probably are
           | most passionate about bringing exciting GPU technology to the
           | world work at Nvidia. :)
             | DennisAleynikov wrote:
             | Gigachad Arthur
         | MuffinFlavored wrote:
         | https://github.com/Arc-Compute/LibVF.IO
         | https://docs.linux-gvm.org/
         | For anybody else interested
       | habobobo wrote:
       | Is it possible to use this for a remote gpu solution somehow?
         | ArcVRArthur wrote:
         | That depends on the driver implementation and what exactly the
         | features are that you are looking for. In general if you're
         | using virtualization tools like KVM/Xen you can configure a
         | computer to make virtual machines that can be accessed remotely
         | (for example you would likely want to configure the network to
         | provide your machine with an IP address). You can use GVM for
         | GPU accelerating various programs like those that use DirectX,
         | Vulkan, and OpenGL so if that meets your needs from a remote
         | machine and you have the necessary resources (networking
         | resources such as IP addresses, time and know-how to configure
         | such a setup) then I would say yes.
       | lostmsu wrote:
       | What does it do? Does it let one pass a virtual GPU to the guest
       | without complete PCI-passthrough? E.g. will I be able to share
       | host GPU between the host system and guests?
         | ArcVRArthur wrote:
         | Ya, that's exactly correct. :)
           | Melatonic wrote:
           | What about one GPU with multiple VM?
           | Annoying t hing right now is that you have to pony up for the
           | fancy nvidia cards plus insane nvidia licensing for their
           | multiGPU virtualized cards. AMD at least makes you only pay
           | for the hardware but its still super pricey.
             | ArcVRArthur wrote:
             | Ya, you can use multiple VMs. Here is a video I took of a
             | laptop with LibVF.IO and an early pre-release version of
             | GVM installed - at the start of the video you can see a
             | fullscreen Windows VM and then I back out and open another
             | compartmentalized 'app VM' (browser):
             | https://streamable.com/gd45bh
             | Both VMs are actually based on Windows (one simply doesn't
             | have explorer.exe running) and each has it's own virtual
             | GPU attached.
             | This laptop has a Nvidia graphics processor inside but it
             | also works with laptops that have an Xe Intel graphics
             | processor. I'm hoping at some point it will work well on
             | AMD too.
               | kbumsik wrote:
               | Sounds very interesting! Do VMs work with a display
               | session (Xorg) too?
               | Some GPU-enabled applications require an X server with a
               | physical HDMI/Displayport attached.
         | amelius wrote:
         | How secure is that? Are users of a GPU completely isolated from
         | eachother? Will there be side-channel attacks possible?
           | amarshall wrote:
           | It's mostly up to the specific hardware and its host-side
           | drivers. I'd say that GPU compute security is a very under-
           | studied area compared with CPU compute.
       | synergy20 wrote:
       | GPU can not even run its own OS basically, it's a parallel co-
       | processor, when-should/how-could I use it as a VM?
         | ArcVRArthur wrote:
         | According to https://docs.linux-gvm.org/
         | "GVM ... may be used in combination with KVM or other platform
         | hypervisors such as Xen* to provide a complete virtualization
         | solution via both central processing (CPU) and graphics
         | processing (GPU) hardware acceleration."
         | fulafel wrote:
         | Most current GPUs could, even with the public programming info.
         | The limitations in interrupt handling would eat into either
         | functionality or performance somewhat I think.
       | maldev wrote:
       | This is pretty cool, one of the killer features that windows has
       | had with Hyper-V that is really creaming QEMU/KVM. You could
       | probably try getting some support from a vendor like Red Hat, as
       | something like this in the Linux Kernel is a huge
       | datacenter/cloud hosting feature that directly impacts their
       | bottom line.
         | ArcVRArthur wrote:
         | I would love to work with folks like the people at RedHat!
         | We're working on some new tools in C (GPLv2) which we think
         | will make it easier to work with existing kernel/driver
         | maintainers. We'll announce some of those things early next
         | month and right after we'll be at QubesOS Summit & KVM Forum. I
         | hope we get the opportunity to talk to some of the RedHat
         | folks! :)
           | csdreamer7 wrote:
           | Do you have a contact where Red Hat people can reach you?
           | (Not in the VM/Graphics space, but I can try to reach out to
           | the right people.)
             | ArcVRArthur wrote:
             | For sure! They can reach me at arthur@arccompute.io
             | I'll also be attending KVM Forum this year so I'd love to
             | chat with folks there as well! :)
       | rcarmo wrote:
       | I really want this to work on AMD hardware.
         | ArcVRArthur wrote:
         | I hope I can work with them some time to improve support! I
         | outlined a few things they would need to do to help support GVM
         | using the amdgpu driver on this page:
         | https://openmdev.io/index.php/AMDGPU
         | Ideally some folks who know about amdgpu might consider helping
         | our open source community by adding similar information to that
         | page to the information we added on the Nvidia Open Kernel
         | Modules page:
         | https://openmdev.io/index.php/OpenRM
         | If that could be done then we would do our best to add in AMD
         | support to GVM.
       | montecarl wrote:
       | I run Linux for software development, but I need to also run
Here the text breaks off for records of molecules:
<<<
Here is H5NP4 in the gas phase from the OMol25 dataset. Energies are from wB97M-V/def2-TZVPD.

Values from the calculation:
Highest occupied orbital energy   -8.514 eV
ΔE to the lowest compared entry with this formula, charge and spin   9.7 kcal/mol
Molecular weight   142.9 g mol⁻¹
E   -1423.0751 Ha
E_LUMO   -0.020 Eh
Net charge   0

Positions of all 10 atoms, in Å:
N  0.07  -0.32  0.26
H  -3.67  0.54  -0.24
H  3.84  0.62  0.84
H  -1.79  1.24  -0.57
P  -1.57  -1.12  0.35
H  3.08  -0.34  -0.98
P  1.36  -1.02  0.74
H  -1.57  -1.11  -0.99
P  -2.49  0.87  0.54
P  2.74  0.64  0.05

And the Mulliken charges, in e, turn out to be:
1 N -0.107
2 H 0.059
3 H 0.054
4 H 0.079
5 P -0.009
6 H 0.075
7 P 0.046
8 H 0.069
9 P -0.109
10 P -0.156

* * * * *

Density functional theory data (ωB97M-V/def2-TZVPD) for a cluster of 9 separate species, C13H44N6O14 in total.

HOMO: -9.56 eV
energy above the lowest of the compared OMol25 structures with the same formula, charge and spin: 176.7 kJ/mol
SMILES string: NC(N)=O.NC(N)=O.NC(N)=O.OCCO.OCCO.OCCO.OCCO.OCCO.O
orbital gap: 9.67 eV

Structure (XYZ):
```
77
Properties=species:S:1:pos:R:3:mulliken_charge:R:1
C -17.67344 14.94700 2.35428 0.719
O -18.77510 15.21834 1.84934 -0.686
N -17.57398 14.58104 3.59092 -0.349
N -16.49930 14.93322 1.87489 -0.335
H -16.68410 14.30427 3.98026 0.099
H -18.29819 14.50988 4.29130 0.184
H -15.70139 14.56444 2.37231 0.173
H -16.41335 15.39841 0.98253 0.195
C -10.14912 12.31986 0.79132 0.656
O -11.20384 11.83889 0.46755 -0.629
N -9.51651 11.82253 1.84286 -0.420
N -9.62003 13.46531 0.37279 -0.410
H -9.79228 10.90352 2.15827 0.219
H -8.86346 12.43785 2.30655 0.162
H -8.96248 13.96365 0.95535 0.185
H -10.16278 13.83871 -0.39278 0.241
C -21.89152 18.29245 -4.91417 0.624
O -22.53012 17.19891 -4.96698 -0.677
N -21.89043 19.06384 -5.98909 -0.390
N -21.07836 18.75552 -4.02933 -0.383
H -22.53178 18.79823 -6.72272 0.228
H -21.40404 19.93628 -5.83945 0.149
H -20.85178 19.73928 -4.06054 0.198
H -21.12086 18.28808 -3.13503 0.253
C -22.73628 14.18800 7.81682 -0.282
C -24.25525 14.53123 7.93320 -0.432
O -24.98105 13.73742 8.98685 -0.502
O -22.23512 13.54610 8.90837 -0.524
H -22.08254 15.06012 7.82886 0.261
H -22.53306 13.67236 6.87825 0.281
H -24.73362 14.57327 6.95468 0.305
H -24.38459 15.56101 8.26626 0.269
H -25.01920 12.87379 8.56938 0.304
H -22.54417 13.96601 9.71445 0.319
C -17.85040 21.78835 6.51690 -0.430
C -17.29459 20.99456 5.31219 -0.218
O -17.09271 21.87334 4.21151 -0.521
O -18.53299 23.02219 6.33139 -0.534
H -16.96726 22.04523 7.10188 0.275
H -18.55301 21.18927 7.09615 0.324
H -18.02057 20.28467 4.91582 0.281
H -16.30726 20.64897 5.61854 0.219
H -16.75859 22.73039 4.48613 0.285
H -18.78925 23.41837 7.16744 0.317
C -27.07652 16.74508 1.08934 -0.432
C -25.71910 16.13253 1.32665 -0.329
O -24.74435 17.07391 1.34584 -0.520
O -27.63491 17.47599 2.17772 -0.526
H -27.62722 15.80764 1.01162 0.276
H -27.10168 17.34481 0.17952 0.304
H -25.45324 15.54657 0.44683 0.288
H -25.55375 15.42736 2.14120 0.311
>>>
       | Autodesk Fusion 360, which doesn't run on Linux. So I run it in a
       | VirtualBox virtual machine. It works poorly as it sometimes
       | doesn't render correctly and the performance is bad. I know that
       | if I did some research and bought a second GPU that I could maybe
       | get PCI-passthrough working, but I find that obnoxious and
       | wasteful.
       | Can I use LibVF.IO/GVM to get better performance (and perhaps
       | proper rendering) on a VM in Linux? Or is there a different
       | solution I should be looking into?
         | ArcVRArthur wrote:
         | Ya, LibVF.IO & GVM are built for things like this! For example
         | I have a friend who uses it for various Adobe programs which
         | also don't work well on Linux.
         | amarshall wrote:
         | It depends if your GPU is supported, and such support is mostly
         | beholden to the hardware before anything else. Currently it's
         | largely limited to: for Nvidia, most Maxwell, Pascal, & Turing
         | cards; for AMD, very few obsolete cards; for Intel, gen 6-9
         | iGPUs.
       | yissp wrote:
       | Is this similar to the virglrenderer project?
       | https://gitlab.freedesktop.org/virgl/virglrenderer
         | ArcVRArthur wrote:
         | It is slightly different - this runs an unmodified GPU driver
         | in the guest (no para-virtualization) and in our observations
         | our performance is close to native which I believe is a fair
         | improvement over the overhead of Virgl. Also there's
         | availability of more APIs - for example DirectX, Vulkan, and
         | OpenGL work with GVM guests. I don't think all of those work
         | with Virgl. We make use of various different assistance modes
         | (either hardware or software I/O virtualization/resource
         | sharing) via VFIO-Mdev (VFIO Mediated Device), or via SR-IOV
         | (Single Root IO Virtualization), or SIOV (Scalable IO
         | Virtualization).
         | I made this web page to try consolidate some information from
         | various folks who have contributed a lot in this area of open
         | source to show how it works (there are some novel additions
         | we've made as well based on our own work with GVM):
         | https://openmdev.io/index.php/Virtual_IO_Internals
       | [deleted]
       | punkpeye wrote:
       | What are the practical use cases for this?
         | SXX wrote:
         | Practical use would be rather niche. For instance easy
         | splitting resources of single GPU between multiple VMs if you
         | want to run isolated instances of ML software. Or if you're
         | need to run automated tests for your game across different OS.
         | Or tests for any software that use GPU acceleration.
         | In reality most users of VFIO passthrough use it for gaming or
         | creating multiseat systems. I guess it's will be true for vGPU
         | feature too.
           | ArcVRArthur wrote:
           | There are also some benefits in load balancing GPUs. For
           | instance processes can be controlled with controlled groups
           | (cgroups) and niceness/thread affinity to make sure
           | scheduling / resource allocation is done equitably between
           | processes on the system. Using GVM and 'app VMs' it is
           | possible to do similar things with the GPU (restrict GPU
           | processes to a user configurable slice of the GPU so it
           | cannot deny service to other processes on the system which
           | are also using the GPU):
           | https://openmdev.io/index.php/Mdev-GPU#fbLen
           | Since this type of load balancing was originally used in the
           | datacenter where virtual machine multi-tenancy was the use
           | case the Quality of Service (QoS) functions here are fairly
           | robust.
         | ArcVRArthur wrote:
         | For my use I tend to run a high performing Windows VM (very
         | good with most games and other GPU accelerated programs - even
         | chrome/adobe these days uses the GPU) inside Linux.
         | This can also be used for various high assurance use cases such
         | as OpenXT / QubesOS (security by compartmentalization). For
         | example a laptop computer being used by an automotive company
         | for CAD to keep their information safe from other programs on
         | the system (like a browser in another VM) the prying eyes of
(What comes next are data records, not part of the text)
┌──
[1]
# C40H52AsN3O2PSi2Tl

C40H52AsN3O2PSi2Tl as an isolated structure (ωB97M-V with the def2-TZVPD basis set, the Open Molecules 2025 dataset).

Structure (XYZ):
```
102
Properties=species:S:1:pos:R:3:forces:R:3
Tl 0.438 -0.306 -0.578 0.14 0.00 -0.27
O 2.212 -0.567 1.968 0.15 0.00 0.07
C 2.651 0.628 2.555 -0.02 -0.14 -0.03
C 1.566 1.669 2.728 0.14 0.27 -0.03
C 1.803 2.843 3.445 0.01 -0.09 -0.09
C 0.787 3.776 3.529 -0.05 0.07 0.03
C -0.422 3.525 2.893 0.03 -0.03 -0.01
C -0.563 2.329 2.209 0.00 0.07 -0.05
N 0.406 1.420 2.149 0.00 0.05 -0.07
H 1.322 -0.767 2.290 0.00 0.06 -0.04
H 3.420 1.031 1.888 0.01 0.04 0.03
H 3.125 0.448 3.531 0.01 -0.01 0.01
H 2.765 3.013 3.914 0.00 0.00 0.01
H 0.936 4.696 4.083 0.00 0.00 -0.01
H -1.238 4.234 2.927 -0.01 0.00 0.01
H -1.474 2.081 1.674 0.00 -0.03 0.04
C 0.435 -4.774 -2.533 0.02 -0.04 -0.14
Si 1.105 -3.693 -1.133 -0.08 -0.15 0.23
C 2.450 -4.733 -0.294 0.11 0.03 0.00
C -0.291 -3.638 0.136 0.03 0.10 0.03
N 1.588 -2.135 -1.578 -0.06 -0.08 0.01
C 2.585 -1.827 -2.471 0.04 -0.07 -0.05
C 3.334 -2.790 -3.164 -0.03 -0.03 0.01
C 4.342 -2.473 -4.074 0.01 0.04 -0.02
C 4.631 -1.145 -4.324 -0.03 -0.03 0.03
C 3.906 -0.160 -3.651 0.02 0.03 0.00
C 2.897 -0.444 -2.721 0.01 0.06 0.00
N 2.191 0.526 -2.043 -0.06 0.08 0.05
Si 2.516 2.175 -2.087 -0.01 0.21 0.06
C 1.409 3.119 -0.887 -0.06 -0.04 0.04
C 4.267 2.674 -1.561 0.12 -0.07 -0.02
C 2.221 3.022 -3.763 0.00 -0.03 -0.11
H -0.036 -5.669 -2.115 -0.01 -0.01 -0.02
H 1.214 -5.092 -3.230 0.00 -0.02 -0.01
H -0.317 -4.227 -3.107 -0.03 0.00 0.02
H 2.122 -5.773 -0.196 0.01 -0.01 0.03
H 2.644 -4.339 0.707 0.00 0.00 0.01
H 3.396 -4.719 -0.840 0.00 -0.01 -0.02
H -0.233 -4.517 0.785 -0.03 -0.05 -0.04
H -1.284 -3.621 -0.319 0.00 0.04 -0.01
H -0.233 -2.762 0.789 0.02 -0.02 0.02
H 3.115 -3.836 -2.980 0.01 -0.01 -0.02
H 4.884 -3.267 -4.579 0.00 -0.01 0.00
H 5.408 -0.863 -5.028 0.00 0.00 -0.01
H 4.131 0.881 -3.858 0.03 0.00 0.00
H 1.719 2.964 0.150 0.00 0.00 0.02
H 0.360 2.820 -0.955 -0.01 0.00 0.00
H 1.466 4.193 -1.096 0.03 0.01 0.00
H 4.469 2.301 -0.552 -0.01 0.02 0.02
H 4.377 3.763 -1.555 0.00 0.01 0.01
H 5.032 2.254 -2.217 0.02 0.02 -0.01
H 1.166 3.285 -3.877 -0.01 0.00 0.00
H 2.484 2.367 -4.596 0.02 0.00 0.00
H 2.809 3.941 -3.852 -0.03 0.03 -0.01
O -2.814 -0.950 -0.878 -0.05 -0.10 -0.40
C -3.250 -1.693 -0.058 -0.17 0.17 0.00
C -3.987 -2.148 0.950 0.07 -0.28 -0.10
C -5.130 -3.051 0.732 0.05 0.11 0.06
C -5.790 -3.591 1.779 -0.01 -0.03 0.20
C -5.424 -3.339 3.149 0.00 -0.01 -0.23
C -4.343 -2.510 3.368 0.05 -0.03 0.01
C -3.580 -1.927 2.355 -0.03 0.09 0.34
P -2.255 -0.780 2.638 -0.15 0.14 0.08
C -1.054 -1.592 3.762 0.03 0.00 -0.11
C -1.050 -2.968 3.971 0.00 -0.05 0.04
C -0.026 -3.574 4.689 -0.02 0.01 -0.01
C 1.019 -2.818 5.200 0.03 0.02 -0.01
C 1.038 -1.445 4.984 -0.06 -0.11 0.05
C 0.014 -0.844 4.267 -0.05 0.15 0.24
C -3.020 0.485 3.753 -0.05 -0.15 -0.02
C -2.691 0.754 5.078 0.00 0.01 0.06
C -3.350 1.751 5.793 0.03 -0.03 -0.02
C -4.353 2.497 5.198 -0.01 0.02 -0.03
C -4.705 2.227 3.878 0.01 0.01 0.02
└──
(The text goes on)
         | competitors. I made a video of that here:
         | https://news.ycombinator.com/item?id=32585333
         | We have also been working on something called "LIME Is Mediated
         | Emulation" which is a Win64 binary compatibility layer similar
         | to WINE but using vGPUs. You can read about that here:
         | https://openmdev.io/index.php/LIME_Is_Mediated_Emulation
           | lvass wrote:
           | This is beautiful, you're doing the Lord's work. I absolutely
           | loathe the current situation of MAC security being so
           | complicated on desktops combined with graphical performance
           | issues in compartmentalization. And surely a lot of folks are
           | also stuck on a certain OS because GPU performance in VMs is
           | terrible. This is very much needed.
             | ArcVRArthur wrote:
             | Thanks!! We'll do our best to keep improving things for
             | everyone. Hopefully security by compartmentalization folks
             | benefit from our work as well. I'll be going to QubesOS
             | Summit so hopefully there will be more good conversations
             | there. :)
         | digitallyfree wrote:
         | While less for general consumer use (honestly most consumers
         | don't use CPU virtualiztion either), this has strong potential
         | in VDI applications. Today with CPU virtualization available
         | everywhere one inexpensive machine can host many VMs all
         | sharing common processing power. If GPU virtualization gains
         | traction this could mean we could be doing the same with GPUs
         | but in an open manner (currently vGPUs are only avaliable in
         | expensive datacenter GPUs and the tech is proprietary).
         | Personally I would like to go with full VDI at home if
         | inexpensive vGPU tech was available - though I guess I'm not
         | the average home user.
       (page generated 2022-08-24 23:00 UTC)